Spoilers ahead for season two of The Good Place.
NBC renewed The Good Place for a third season a few months ago, which means that fans could enjoy season two’s game-changing finale without worrying about whether they’d get to see what happens next. Perhaps because of this, the show’s creator Michael Schur didn’t end the season with a big cliff-hanger so much as with the start of a reset. Early in the episode, reformed torture-demon Michael (Ted Danson) convinced the afterlife’s eternal judge, Gen (Maya Rudolph), to give his four condemned friends a chance to prove themselves capable of profound change. The rest of the half-hour followed our primary heroine Eleanor Shellstrop (Kristen Bell) in a “what if” scenario, imagining what might’ve happened if she’d been spared from death and had tried to become a better person on Earth — with no memory of her time in Michael’s experimental Neighborhood.
The season ended on an ellipsis, with Eleanor compelled to seek out her afterlife pal Chidi Anagonye (William Jackson Harper) in Australia, without really understanding why. The impression we’re left with as the credits roll is that season three will pick up where the finale left off, and that we’ll keep tracking the Earthbound adventures of this quartet as they stumble into each other’s lives.
What else may lie ahead? Here are the seven biggest questions that the season-two finale “Somewhere Else” left us pondering.
Where are Tahani and Jason?
The finale focused almost entirely on Eleanor, with Chidi popping up only at the end. We didn’t learn anything about what Chidi’s been up to since he avoided getting crushed by an air conditioner, though presumably that story will be coming early in season three, given that he just reentered the picture. And then, Eleanor and Chidi will somehow have to cross paths with Tahani al-Jamil (Jameela Jamil) and Jason Mendoza (Manny Jacinto), which is going to involve some tricky storytelling, given that none of these four people have much in common with each other and live in far-flung locales. As we move toward an inevitable reunion, we’ll surely learn all about what their second chances have been like, too. Eleanor’s earnest attempts to turn her life around stalled out after six months. Did anyone else fare better?
Are the humans actually alive, or is it a simulation?
For the sake of describing what Michael and Gen have done without adding a dozen qualifiers, it’s easiest to say that they brought Eleanor and company back to life, and then returned them to Earth at the point in their mortal timeline when they originally died. But is that really what’s happening? It’s possible that this is all just an elaborate simulation, akin to what Michael did when he made Chidi’s theoretical “Trolley Problem” into a reality. For one thing, if this isn’t a simulation, what’s the endgame? Will all four of these humans just keep on living until they die again? Or do they only have a limited time to prove themselves before Gen — who explained in the finale that she reserves the right to close this whole operation down at any time — yanks them back out, potentially alarming anyone on Earth who might happen to be standing next to them at the time?
Here’s another cue that this could all be fake: At the end of the episode, Chidi is speaking English in an American accent, the same as he does in the afterlife. If this were the real mortal plane, he’d likely sound a lot more Senegalese.
Will Michael’s intervention nullify the experiment?
Eleanor only went to see Chidi in the first place because Michael did his best Sam Malone impression, playing bartender while subtly nudging her to look up one of Professor Anagonye’s lectures. This, it would seem, is in violation of the parameters that Gen set out when she agreed to run the test. When Michael returned to the afterlife and asked Janet if anyone noticed he was gone, she rather curtly said no. But it felt like something else was going on in that moment, and that Janet could be hiding something. Either way, it’s highly doubtful that Michael will get away with his interference. Gen is omniscient, after all — at least when she’s not eating Mexican food or bingeing Netflix shows.
What’s up with Janet?
**Misplaced calculated crystals**
<<<
Record 1
This record from Materials Project describes a relaxed Tl9BiSe6 crystal. The functional is PBE.

The structure in CIF format:
```
data_Tl9BiSe6
_space_group_name_H-M_alt 'I 4/m'
_space_group_IT_number 87
_space_group_name_Hall '-I 4'
_cell_length_a 8.589
_cell_length_b 8.589
_cell_length_c 13.271
_cell_angle_alpha 90.00
_cell_angle_beta 90.00
_cell_angle_gamma 90.00
loop_
_atom_site_label
_atom_site_fract_x
_atom_site_fract_y
_atom_site_fract_z
Tl1 0.000 0.000 0.000
Tl2 0.146 0.653 0.347
Bi1 0.000 0.000 0.500
Se1 0.000 0.000 0.273
Se2 0.149 0.320 0.500
```

---

Record 2
This record from Materials Project describes a relaxed SmGa2Co crystal. The functional is PBE.

The structure in CIF format:
```
data_SmGa2Co
_space_group_name_H-M_alt 'C m m m'
_space_group_IT_number 65
_space_group_name_Hall '-C 2 2'
_cell_length_a 4.127
_cell_length_b 17.793
_cell_length_c 4.089
_cell_angle_alpha 90.00
_cell_angle_beta 90.00
_cell_angle_gamma 90.00
loop_
_atom_site_label
_atom_site_fract_x
_atom_site_fract_y
_atom_site_fract_z
Sm1 0.000 0.143 0.000
Ga1 0.000 0.000 0.500
Ga2 0.000 0.292 0.500
Ga3 0.000 0.500 0.000
Co1 0.000 0.427 0.500
```

---

Record 3
This record from Materials Project describes a relaxed Rb2PdC4N4O crystal. The functional is PBE.

The structure in CIF format:
```
data_Rb2PdC4N4O
_space_group_name_H-M_alt 'P n n a'
_space_group_IT_number 52
_cell_length_a 7.716
_cell_length_b 9.967
_cell_length_c 13.880
_cell_angle_alpha 90.00
_cell_angle_beta 90.00
_cell_angle_gamma 90.00
loop_
_space_group_symop_operation_xyz
'x,y,z'
'-x,-y,-z'
'-x+1/2,-y,z'
'x+1/2,y,-z'
'x,-y+1/2,-z+1/2'
'-x,y+1/2,z+1/2'
'-x+1/2,y+1/2,-z+1/2'
'x+1/2,-y+1/2,z+1/2'
loop_
_atom_site_label
_atom_site_fract_x
_atom_site_fract_y
_atom_site_fract_z
Rb1 0.192 0.250 0.250
Rb2 0.250 0.000 0.599
Pd1 0.000 0.000 0.000
C1 0.002 0.529 0.358
C2 0.031 0.197 0.020
N1 0.011 0.543 0.274
N2 0.049 0.188 0.465
O1 0.218 0.750 0.750
```

---

Record 4
This record from Materials Project describes a relaxed Ho3Sb4Pd8 crystal. The functional is PBE.

The structure in CIF format:
```
data_Ho3Sb4Pd8
_space_group_name_H-M_alt 'F m -3 m'
_space_group_IT_number 225
_space_group_name_Hall '-F 4 2 3'
_cell_length_a 13.245
_cell_length_b 13.245
_cell_length_c 13.245
_cell_angle_alpha 90.00
_cell_angle_beta 90.00
_cell_angle_gamma 90.00
loop_
_atom_site_label
_atom_site_fract_x
_atom_site_fract_y
_atom_site_fract_z
Ho1 0.000 0.000 0.224
Sb1 0.000 0.000 0.000
Sb2 0.000 0.000 0.500
Sb3 0.000 0.250 0.250
Pd1 0.119 0.119 0.381
Pd2 0.166 0.166 0.166
```

---

Number 1: formation energy -0.554 eV per atom. Number 2: formation energy -0.536 eV per atom. Number 3: formation energy 0.066 eV per atom. Number 4: formation energy -0.831 eV per atom.

=====

This record from the Materials Project database describes crystalline CaZn11 at its relaxed geometry. The functional is r²SCAN.

Summary:
Formation energy from the elements = -0.190 eV/atom
Calculated volume = 372.5 Å³ per cell
>>>
Janet’s behavior throughout the second half of the finale — where she’s quiet and brusque rather than cheery and helpful — was so unusual that it seems likely that The Good Place will circle back to her early in season three, if only to offer some kind of explanation. Chances are, it has to do with Jason. We saw Michael intently watching Eleanor’s point-ticker, to track how she was faring back on Earth. Janet, meanwhile, appeared to be keeping an eye on Jason … to whom she’d just declared her love. It’s possible, knowing how Jason is, that he’s completely botching his second chance. Or maybe he’s met someone else. Whatever’s going on, maybe it’s putting Janet into a funk.
One thing’s fairly certain: Janet grew so much as a character in season two that she admitted in the finale she’s not even “a Janet” anymore, so that new understanding of herself will have larger implications next season. She’s an entity with near-limitless power, who ought to be disinclined to sit idly by while the human she loves faces an eternity of torture.
When will Shawn and the Bad Place demons catch up with the good guys?
The Bad Place, the Good Place, and the realms in between (like Gen’s chambers) are supposed to be governed by clear rules and lines of jurisdiction. Yet toward the end of this season, we saw Shawn order an illegal raid on Mindy St. Claire’s house, which would indicate that these demons are bound by custom more than by actual limitations. In other words, if Shawn gets mad enough — and right now he’s probably furious — there may not be much stopping him from storming into the Neutral Zone and going after Michael and Janet. It’s never been entirely clear how time corresponds between the different realms, but in Earth terms, Eleanor’s return to the living covered just over a year in the finale. That ought to be plenty of time for the Bad Place forces to mount some kind of attack.
Will we finally meet someone from the real Good Place?
If Shawn doesn’t swoop in to demand a halt to Michael’s new experiment, someone from the Good Place surely might. Remember, everything that’s happened in Gen’s chambers for the past two episodes has violated protocol. She wasn’t supposed to hear the humans’ case at all, let alone allow them to prove themselves on Earth. The Good Place representatives might be as concerned about what’s happening as the Bad Place demons are. After all, Michael is threatening the entire order of things, and Gen is capriciously allowing it. A larger conflict could be a way for the show’s writers to at last bring the other side of the afterlife into the narrative.
How long until season three blows everything up?
The page is interrupted by data records:
[1]
Here is an optimized crystal structure of Th3Sn13Ru4 from Materials Project. Energies are from GGA-PBE.

The structure in POSCAR format:
```
Th3Sn13Ru4
1.0
10.1253 0.0000 0.0000
0.0000 10.1253 0.0000
0.0000 0.0000 10.1253
Th Sn Ru
6 26 8
Cartesian
2.5313 0.0000 5.0627
7.5940 0.0000 5.0627
5.0627 2.5313 0.0000
5.0627 7.5940 0.0000
0.0000 5.0627 2.5313
0.0000 5.0627 7.5940
0.0000 0.0000 0.0000
5.0627 5.0627 5.0627
0.0000 1.5672 3.0868
0.0000 8.5581 7.0386
0.0000 8.5581 3.0868
0.0000 1.5672 7.0386
3.0868 0.0000 1.5672
6.6299 5.0627 1.9759
7.0386 0.0000 8.5581
3.4954 5.0627 8.1494
3.0868 0.0000 8.5581
3.4954 5.0627 1.9759
7.0386 0.0000 1.5672
6.6299 5.0627 8.1494
1.5672 3.0868 0.0000
5.0627 8.1494 3.4954
8.5581 7.0386 0.0000
5.0627 1.9759 6.6299
1.5672 7.0386 0.0000
5.0627 1.9759 3.4954
8.5581 3.0868 0.0000
5.0627 8.1494 6.6299
1.9759 6.6299 5.0627
8.1494 3.4954 5.0627
1.9759 3.4954 5.0627
8.1494 6.6299 5.0627
2.5313 2.5313 2.5313
7.5940 7.5940 7.5940
7.5940 7.5940 2.5313
7.5940 2.5313 7.5940
2.5313 2.5313 7.5940
2.5313 7.5940 2.5313
2.5313 7.5940 7.5940
7.5940 2.5313 2.5313
```

Results
- Formation energy from the elements: -0.339 eV per atom
- Total magnetic moment: 0.03 μB per formula unit
- Mass density: 8.46 Mg/m³

[2]
Here is an optimized crystal structure of ThSnRu2 from Materials Project. Energies are from GGA-PBE.

The structure in POSCAR format:
```
ThSnRu2
1.0
0.0000 3.4031 3.4031
3.4031 0.0000 3.4031
3.4031 3.4031 0.0000
Th Sn Ru
1 1 2
Cartesian
0.0000 0.0000 0.0000
3.4031 3.4031 3.4031
1.7015 1.7015 1.7015
5.1046 5.1046 5.1046
```

Results
- Formation energy from the elements: -0.409 eV per atom
- Mass density: 11.65 Mg/m³

[3]
Here is an optimized crystal structure of U2SnRu2 from Materials Project. Energies are from GGA-PBE.

The structure in POSCAR format:
```
U2SnRu2
1.0
-2.0284 -4.4081 -5.8104
5.7654 -4.6628 1.5248
-2.0704 -1.8617 2.1352
U Sn Ru
4 2 4
Cartesian
3.0980 -6.2978 0.3959
1.1079 -7.7126 -2.7674
0.5587 -3.2202 0.6171
-1.4315 -4.6349 -2.5462
0.0000 0.0000 0.0000
1.8685 -4.5355 -2.1428
0.0588 -2.2391 -1.8953
0.3398 -5.4907 -4.4579
3.3972 -3.5803 0.1724
3.6781 -6.8318 -2.3903
```

Results
- Formation energy from the elements: -0.302 eV per atom
- Mass density: 13.16 Mg/m³

[4]
Here is an optimized crystal structure of USnRu from Materials Project. Energies are from GGA-PBE.

The structure in POSCAR format:
```
USnRu
1.0
3.6533 -6.3276 0.0000
3.6533 6.3276 0.0000
0.0000 0.0000 4.0539
U Sn Ru
3 3 3
Cartesian
1.5217 2.6356 2.0270
4.2632 0.0000 2.0270
1.5217 -2.6356 2.0270
2.7336 4.7347 0.0000
1.8393 0.0000 0.0000
2.7336 -4.7347 0.0000
3.6533 2.1092 0.0000
3.6533 -2.1092 0.0000
0.0000 0.0000 2.0270
```

Results
- Formation energy from the elements: -0.266 eV per atom
- Mass density: 12.17 Mg/m³

[5]
Here is an optimized crystal structure of Ta3Ru2 from Materials Project. Energies are from GGA-PBE.

The structure in POSCAR format:
```
Ta3Ru2
1.0
3.2228 0.0000 0.0000
0.0000 3.2228 0.0000
0.0000 0.0000 15.9135
Ta Ru
6 4
Season two didn’t entirely ditch the Lost-like flashback structure that dominated season one. Instead, Schur and his writers used it when they needed to fill in some background on the characters. At other times, they allowed themselves to play around with different kinds of ways of telling their stories, from freewheeling fantasy to white-knuckle adventure to “bottle episodes” stuck mostly on one set. This latest plot development, with the humans back on Earth, may allow The Good Place to revert to its original format. We could very well get flashbacks to Chidi’s year, and then Tahani’s and Jason’s.
After that, though, who knows? Over the course of two seasons, this show has always roared ahead to its next big twist rather than artificially drag things out. Will we spend all of next season on Earth? That’d be out of character for The Good Place. It’s possible that the writers will close out this phase in the season premiere, and we’ll be back in the afterlife right away. Schur will do whatever he feels he must — not just to keep fans guessing, but to keep us thinking about what it means to be a decent human being.